I would LOVE to interview you on my summit airing November 30, 2017 and being pre-recorded soon! I think what you have to say is brilliant. This dynamic event, titled “The Courageous Caregiver World Summit.
You will be reaching Doctors, Nurses, Home Health workers, Hospital staff and overwhelmed co-dependent suffering people who desperately need your help. I am also a Director of Nursing in Newport Beach, a hospice RN who has been in the trenches, and with NO health insur- ance to boot.. Trust me!
What is the Vision and Audience of summit?
I want to revolutionize how Doctors, Nurses and healthcare workers process and think so they can be a part of the “shift of change by starting with themselves.”
Imagine a world where the healthcare professionals spread the mes- sage to patients about YOUR services as part of their healing prac- tice, THEY are face to face every day with “your clients”
It is a “secret amongst doctors, nurses and medical staff everywhere that the healthcare workers are ashamed of where they are at physically, mentally and spiritually and feel they can’t tell anyone as they are supposed to be the healers, they are supposed to have the answers!” Addictions, Obesity and complete burnout are the norm for healthcare workers today. THEY must heal themselves first.. The True Healers Journey!
They will rediscover who they really are meant to be/what and who their HIGHER selves are. They have lost themselves taking care of others and will learn HOW to finally drop the story of co-dependency and empower themselves to live their truest authentic lives. I will be look- ing for people who have a story of challenge/overcoming/deep desire to be of service and sees the bigger picture and that NOW is Critical for Healthcare Professionals to get it together in order to BE the change the world needs NOW. You will be aligned with other speakers and all are of the highest Integrity for being of service on the planet!
**Calculated crystals, as found in the file**
- - -
Model 1:
VASP calculation (PBE) on a geometry-optimized Ba2TmMgNbO6 structure.

Structure (CIF):
```
data_Ba2TmMgNbO6
_chemical_formula_sum 'Ba4 Tm2 Mg2 Nb2 O12'
_cell_length_a 5.939
_cell_length_b 6.250
_cell_length_c 9.216
_cell_angle_alpha 90.00
_cell_angle_beta 90.00
_cell_angle_gamma 90.00
_symmetry_space_group_name_H-M 'I m m m'
_symmetry_Int_Tables_number 71
_symmetry_space_group_name_Hall '-I 2 2'
loop_
_atom_site_label
_atom_site_type_symbol
_atom_site_fract_x
_atom_site_fract_y
_atom_site_fract_z
Ba1 Ba 0.000 0.000 0.190
Tm1 Tm 0.000 0.500 0.000
Mg1 Mg 0.000 0.000 0.500
Nb1 Nb 0.000 0.500 0.500
O1 O 0.000 0.500 0.263
O2 O 0.232 0.237 0.500
```

Values from the calculation:
Its crystal system is orthorhombic.

=====

Model 2:
VASP calculation (PBE) on a geometry-optimized Ba2TmMgNbO6 structure.

Structure (CIF):
```
data_Ba2TmMgNbO6
_chemical_formula_sum 'Ba4 Tm2 Mg2 Nb2 O12'
_cell_length_a 10.300
_cell_length_b 5.945
_cell_length_c 6.759
_cell_angle_alpha 90.00
_cell_angle_beta 120.57
_cell_angle_gamma 90.00
_symmetry_space_group_name_H-M 'C 1 m 1'
_symmetry_Int_Tables_number 8
loop_
_symmetry_equiv_pos_as_xyz
'x,y,z'
'x,-y,z'
'x+1/2,y+1/2,z'
'x+1/2,-y+1/2,z'
loop_
_atom_site_label
_atom_site_type_symbol
_atom_site_fract_x
_atom_site_fract_y
_atom_site_fract_z
Ba1 Ba 0.000 0.000 0.000
Ba2 Ba 0.075 0.500 0.726
Tm1 Tm 0.279 0.500 0.337
Mg1 Mg 0.407 0.000 0.219
Nb1 Nb 0.252 0.000 0.757
O1 O 0.004 0.500 0.033
O2 O 0.029 0.000 0.579
O3 O 0.265 0.238 0.032
O4 O 0.276 0.247 0.580
```

Values from the calculation:
Its crystal system is monoclinic.

=====

Model 3:
VASP calculation (PBE) on a geometry-optimized Ba2TmMgNbO6 structure.

Structure (CIF):
```
data_Ba2TmMgNbO6
_chemical_formula_sum 'Ba4 Tm2 Mg2 Nb2 O12'
_cell_length_a 10.349
_cell_length_b 5.977
_cell_length_c 6.669
_cell_angle_alpha 90.00
_cell_angle_beta 121.10
_cell_angle_gamma 90.00
_symmetry_space_group_name_H-M 'C 1 m 1'
_symmetry_Int_Tables_number 8
loop_
_symmetry_equiv_pos_as_xyz
'x,y,z'
'x,-y,z'
'x+1/2,y+1/2,z'
'x+1/2,-y+1/2,z'
loop_
_atom_site_label
_atom_site_type_symbol
_atom_site_fract_x
_atom_site_fract_y
_atom_site_fract_z
Ba1 Ba 0.000 0.000 0.000
Ba2 Ba 0.037 0.500 0.611
Tm1 Tm 0.207 0.000 0.621
Mg1 Mg 0.367 0.000 0.100
Nb1 Nb 0.235 0.500 0.205
O1 O 0.219 0.255 0.403
O2 O 0.230 0.248 0.939
O3 O 0.465 0.500 0.405
O4 O 0.477 0.000 0.938
```

Values from the calculation:
Its crystal system is monoclinic.

=====

The energetic minimum among the shown structures is model 2; the next structure lies 18 meV/atom above.

----------

Record 1
A plane-wave DFT calculation with meta-GGA r2SCAN was carried out for YMn4Al8 after structural relaxation.

The structure in POSCAR format:
```
YMn4Al8
1.0
-4.4108 4.4108 2.6039
4.4108 -4.4108 2.6039
4.4108 4.4108 -2.6039
Y Mn Al
1 4 8
direct
0.0000 0.0000 0.0000 Y
0.0000 0.0000 0.5000 Mn
0.0000 0.5000 0.0000 Mn
0.5000 0.0000 0.0000 Mn
0.5000 0.5000 0.5000 Mn
0.0000 0.3420 0.3420 Al
0.0000 0.6580 0.6580 Al
0.2739 0.5000 0.7739 Al
- - -
See who else is participating thus far…
I have a Mission to create a global movement for burned out caregivers to stand in the strength of their own healing while powerfully creating a Tsunami of change in the health care industry!
It all starts by us…those right NOW directly in front of these suffering people.
It’s time to reach the individual healthcare practicioners on a grass-roots level from nurse to nurse, caregiver to caregiver and expert to the masses! Please join me in revolutioninzing people to realize that “They are the ones THEY have been waiting for!” I need you, I need YOUR voice, the world needs you now.